_Contents_
- - -
# PBE-GGA CaHg2Ru, optimized geometry
data_CaHg2Ru
_symmetry_space_group_name_H-M 'P 1'
_symmetry_Int_Tables_number 1
_cell_length_a 9.504
_cell_length_b 9.504
_cell_length_c 9.504
_cell_angle_alpha 20.22
_cell_angle_beta 20.22
_cell_angle_gamma 20.22
loop_
_symmetry_equiv_pos_as_xyz
'x,y,z'
loop_
_atom_site_label
_atom_site_type_symbol
_atom_site_fract_x
_atom_site_fract_y
_atom_site_fract_z
Hg1 Hg 0.507 0.507 0.507
Ca1 Ca 0.750 0.750 0.750
Ru1 Ru 0.250 0.250 0.250
Hg2 Hg 0.993 0.993 0.993
# Space-group type ... R-3m, No. 166
# Relative energy among the computed polymorphs ... 270.3 meV/atom
# DOS at the Fermi energy ... 3.31 states/eV/f.u.



# PBE-GGA CaHgRu2, optimized geometry
data_CaHgRu2
_symmetry_space_group_name_H-M 'P 1'
_symmetry_Int_Tables_number 1
_cell_length_a 4.706
_cell_length_b 4.706
_cell_length_c 4.706
_cell_angle_alpha 60.00
_cell_angle_beta 60.00
_cell_angle_gamma 60.00
loop_
_symmetry_equiv_pos_as_xyz
'x,y,z'
loop_
_atom_site_label
_atom_site_type_symbol
_atom_site_fract_x
_atom_site_fract_y
_atom_site_fract_z
Ru1 Ru 0.250 0.250 0.250
Ru2 Ru 0.000 0.000 0.000
Ca1 Ca 0.500 0.500 0.500
Hg1 Hg 0.750 0.750 0.750
# Space-group type ... F-43m, No. 216
# DOS at the Fermi energy ... 4.55 states/eV/f.u.



# PBE-GGA CaHgRu, optimized geometry
data_CaHgRu
_symmetry_space_group_name_H-M 'P 1'
_symmetry_Int_Tables_number 1
_cell_length_a 4.684
_cell_length_b 4.684
_cell_length_c 4.684
_cell_angle_alpha 60.00
_cell_angle_beta 60.00
_cell_angle_gamma 60.00
loop_
_symmetry_equiv_pos_as_xyz
'x,y,z'
loop_
_atom_site_label
_atom_site_type_symbol
_atom_site_fract_x
_atom_site_fract_y
_atom_site_fract_z
Ru1 Ru 0.750 0.750 0.750
Hg1 Hg 0.500 0.500 0.500
Ca1 Ca 0.000 0.000 0.000
# Space-group type ... F-43m, No. 216
# Relative energy among the computed polymorphs ... 235.3 meV/atom
# DOS at the Fermi energy ... 7.30 states/eV/f.u.



# PBE-GGA Ca2HgRu, optimized geometry
data_Ca2HgRu
_symmetry_space_group_name_H-M 'P 1'
_symmetry_Int_Tables_number 1
_cell_length_a 5.583
_cell_length_b 5.583
_cell_length_c 5.583
_cell_angle_alpha 133.34
_cell_angle_beta 133.34
_cell_angle_gamma 68.12
loop_
_symmetry_equiv_pos_as_xyz
'x,y,z'
loop_
_atom_site_label
_atom_site_type_symbol
_atom_site_fract_x
_atom_site_fract_y
_atom_site_fract_z
Ca1 Ca 0.250 0.750 0.500
Ca2 Ca 0.000 0.000 0.000
Ru1 Ru 0.750 0.250 0.500
Hg1 Hg 0.500 0.500 0.000
# Space-group type ... I-4m2, No. 119
# DOS at the Fermi energy ... 2.95 states/eV/f.u.



# PBE-GGA Ca2HgRu, optimized geometry
data_Ca2HgRu
_symmetry_space_group_name_H-M 'P 1'
_symmetry_Int_Tables_number 1
_cell_length_a 9.617
_cell_length_b 9.617
_cell_length_c 9.617
_cell_angle_alpha 21.06
_cell_angle_beta 21.06
_cell_angle_gamma 21.06
loop_
_symmetry_equiv_pos_as_xyz
'x,y,z'
loop_
_atom_site_label
_atom_site_type_symbol
_atom_site_fract_x
_atom_site_fract_y
_atom_site_fract_z
Ca1 Ca 0.487 0.487 0.487
Ru1 Ru 0.750 0.750 0.750
Ca2 Ca 0.013 0.013 0.013
Hg1 Hg 0.250 0.250 0.250
# Space-group type ... R-3m, No. 166
# DOS at the Fermi energy ... 4.63 states/eV/f.u.



# PBE-GGA Ca2HgRu, optimized geometry
data_Ca2HgRu
_symmetry_space_group_name_H-M 'P 1'
_symmetry_Int_Tables_number 1
_cell_length_a 4.583
_cell_length_b 3.954
_cell_length_c 5.915
_cell_angle_alpha 70.50
_cell_angle_beta 90.00
_cell_angle_gamma 90.00
loop_
_symmetry_equiv_pos_as_xyz
'x,y,z'
loop_
_atom_site_label
_atom_site_type_symbol
_atom_site_fract_x
_atom_site_fract_y
_atom_site_fract_z
Ca1 Ca 0.500 0.271 0.333
Hg1 Hg 0.000 0.694 0.486
Ru1 Ru 0.500 0.555 0.765
Ca2 Ca 0.000 0.980 0.916
# Space-group type ... Amm2, No. 38
# DOS at the Fermi energy ... 2.76 states/eV/f.u.



# PBE-GGA Ca3HgRu, optimized geometry
data_Ca3HgRu
_symmetry_space_group_name_H-M 'P 1'
_symmetry_Int_Tables_number 1
_cell_length_a 5.405
_cell_length_b 5.405
_cell_length_c 5.405
_cell_angle_alpha 90.00
_cell_angle_beta 90.00
_cell_angle_gamma 90.00
loop_
_symmetry_equiv_pos_as_xyz
'x,y,z'
loop_
_atom_site_label
_atom_site_type_symbol
_atom_site_fract_x
- - -

_Brief_
Give back the entries above unchanged.

_Result_
# PBE-GGA CaHg2Ru, optimized geometry
data_CaHg2Ru
_symmetry_space_group_name_H-M 'P 1'
_symmetry_Int_Tables_number 1
_cell_length_a 9.504
_cell_length_b 9.504
_cell_length_c 9.504
_cell_angle_alpha 20.22
_cell_angle_beta 20.22
_cell_angle_gamma 20.22
loop_
_symmetry_equiv_pos_as_xyz
'x,y,z'
loop_
_atom_site_label
_atom_site_type_symbol
_atom_site_fract_x
_atom_site_fract_y
_atom_site_fract_z
Hg1 Hg 0.507 0.507 0.507
Ca1 Ca 0.750 0.750 0.750
Ru1 Ru 0.250 0.250 0.250
Hg2 Hg 0.993 0.993 0.993
# Space-group type ... R-3m, No. 166
# Relative energy among the computed polymorphs ... 270.3 meV/atom
# DOS at the Fermi energy ... 3.31 states/eV/f.u.



# PBE-GGA CaHgRu2, optimized geometry
data_CaHgRu2
_symmetry_space_group_name_H-M 'P 1'
_symmetry_Int_Tables_number 1
_cell_length_a 4.706
_cell_length_b 4.706
_cell_length_c 4.706
_cell_angle_alpha 60.00
_cell_angle_beta 60.00
_cell_angle_gamma 60.00
loop_
_symmetry_equiv_pos_as_xyz
'x,y,z'
loop_
_atom_site_label
_atom_site_type_symbol
_atom_site_fract_x
_atom_site_fract_y
_atom_site_fract_z
Ru1 Ru 0.250 0.250 0.250
Ru2 Ru 0.000 0.000 0.000
Ca1 Ca 0.500 0.500 0.500
Hg1 Hg 0.750 0.750 0.750
# Space-group type ... F-43m, No. 216
# DOS at the Fermi energy ... 4.55 states/eV/f.u.



# PBE-GGA CaHgRu, optimized geometry
data_CaHgRu
_symmetry_space_group_name_H-M 'P 1'
_symmetry_Int_Tables_number 1
_cell_length_a 4.684
_cell_length_b 4.684
_cell_length_c 4.684
_cell_angle_alpha 60.00
_cell_angle_beta 60.00
_cell_angle_gamma 60.00
loop_
_symmetry_equiv_pos_as_xyz
'x,y,z'
loop_
_atom_site_label
_atom_site_type_symbol
_atom_site_fract_x
_atom_site_fract_y
_atom_site_fract_z
Ru1 Ru 0.750 0.750 0.750
Hg1 Hg 0.500 0.500 0.500
Ca1 Ca 0.000 0.000 0.000
# Space-group type ... F-43m, No. 216
# Relative energy among the computed polymorphs ... 235.3 meV/atom
# DOS at the Fermi energy ... 7.30 states/eV/f.u.



# PBE-GGA Ca2HgRu, optimized geometry
data_Ca2HgRu
_symmetry_space_group_name_H-M 'P 1'
_symmetry_Int_Tables_number 1
_cell_length_a 5.583
_cell_length_b 5.583
_cell_length_c 5.583
_cell_angle_alpha 133.34
_cell_angle_beta 133.34
_cell_angle_gamma 68.12
loop_
_symmetry_equiv_pos_as_xyz
'x,y,z'
loop_
_atom_site_label
_atom_site_type_symbol
_atom_site_fract_x
_atom_site_fract_y
_atom_site_fract_z
Ca1 Ca 0.250 0.750 0.500
Ca2 Ca 0.000 0.000 0.000
Ru1 Ru 0.750 0.250 0.500
Hg1 Hg 0.500 0.500 0.000
# Space-group type ... I-4m2, No. 119
# DOS at the Fermi energy ... 2.95 states/eV/f.u.



# PBE-GGA Ca2HgRu, optimized geometry
data_Ca2HgRu
_symmetry_space_group_name_H-M 'P 1'
_symmetry_Int_Tables_number 1
_cell_length_a 9.617
_cell_length_b 9.617
_cell_length_c 9.617
_cell_angle_alpha 21.06
_cell_angle_beta 21.06
_cell_angle_gamma 21.06
loop_
_symmetry_equiv_pos_as_xyz
'x,y,z'
loop_
_atom_site_label
_atom_site_type_symbol
_atom_site_fract_x
_atom_site_fract_y
_atom_site_fract_z
Ca1 Ca 0.487 0.487 0.487
Ru1 Ru 0.750 0.750 0.750
Ca2 Ca 0.013 0.013 0.013
Hg1 Hg 0.250 0.250 0.250
# Space-group type ... R-3m, No. 166
# DOS at the Fermi energy ... 4.63 states/eV/f.u.



# PBE-GGA Ca2HgRu, optimized geometry
data_Ca2HgRu
_symmetry_space_group_name_H-M 'P 1'
_symmetry_Int_Tables_number 1
_cell_length_a 4.583
_cell_length_b 3.954
_cell_length_c 5.915
_cell_angle_alpha 70.50
_cell_angle_beta 90.00
_cell_angle_gamma 90.00
loop_
_symmetry_equiv_pos_as_xyz
'x,y,z'
loop_
_atom_site_label
_atom_site_type_symbol
_atom_site_fract_x
_atom_site_fract_y
_atom_site_fract_z
Ca1 Ca 0.500 0.271 0.333
Hg1 Hg 0.000 0.694 0.486
Ru1 Ru 0.500 0.555 0.765
Ca2 Ca 0.000 0.980 0.916
# Space-group type ... Amm2, No. 38
# DOS at the Fermi energy ... 2.76 states/eV/f.u.



# PBE-GGA Ca3HgRu, optimized geometry
data_Ca3HgRu
_symmetry_space_group_name_H-M 'P 1'
_symmetry_Int_Tables_number 1
_cell_length_a 5.405
_cell_length_b 5.405
_cell_length_c 5.405
_cell_angle_alpha 90.00
_cell_angle_beta 90.00
_cell_angle_gamma 90.00
loop_
_symmetry_equiv_pos_as_xyz
'x,y,z'
loop_
_atom_site_label
_atom_site_type_symbol
_atom_site_fract_x